**Input:**
____________
1.
C16H22BF18O11P2 | the ωB97M-V functional and the def2-TZVPD basis

ORCA input file:
```
! RIJCOSX wB97M-V def2-TZVPD def2/J DEFGRID3
* xyz -1 1
P 0.21003 0.54160 -8.38031
P 0.85722 -4.87116 6.55991
F 1.58370 3.68229 3.29446
F -1.22411 0.07260 -0.08148
F 0.39935 -1.24655 0.45481
F -0.86759 2.60236 3.71753
F -0.96827 0.88664 4.99110
F 1.91019 0.50067 4.64276
F -0.04951 -0.79032 3.16601
F 0.99801 1.92476 5.93578
F 0.38603 4.51538 -0.35691
F 1.30398 -0.64494 -1.67304
F 1.73146 0.46585 1.81870
F -0.78556 0.49396 -2.81351
F 3.21021 2.29026 3.41836
F 0.37404 2.13556 1.25296
F 1.99651 1.21474 -0.80355
F 2.66304 3.42775 5.12759
F -1.69554 0.42572 2.56812
F 0.99488 1.68201 -3.07819
O 0.02252 -6.04257 7.00833
O -1.65968 2.87979 -2.52994
O 0.88971 0.42346 -6.83985
O 1.46766 -4.47946 8.08437
O -0.31863 1.94809 -8.29630
O 0.00058 -3.47468 6.46303
O 0.72442 -5.09542 4.88926
O -2.47754 4.63008 -1.06961
O -0.36663 4.78771 -2.44062
O -0.91870 -0.59209 -7.99082
O -0.06015 0.33674 -10.03830
C 0.08165 0.06238 0.22478
C -0.22316 1.47559 4.00610
C -1.40515 0.30709 -10.48833
C -0.36577 0.46965 2.79700
C 0.31380 3.90177 -1.65300
C 0.45103 -2.46539 5.54434
C 0.05868 1.28711 -2.13106
C -0.46228 -1.84537 -7.47343
C -0.49007 -5.63919 4.39081
C 0.45674 0.82920 1.53093
C 0.25222 1.12961 -5.76615
C 1.19901 1.64754 4.62328
C 2.14608 2.77075 4.06634
C -0.60876 2.59225 -1.62078
C 0.88253 0.50181 -1.06034
C 0.55440 -3.99229 9.05641
B -1.76622 4.36751 -2.34272
H -1.86891 -0.65043 -10.25014
H -1.03773 -2.64506 -7.94099
H -2.53805 4.68683 -3.22530
H 0.64299 0.72724 -4.84222
H -1.35391 -5.15718 4.85026
H -1.98401 1.12489 -10.05832
H -0.19225 -2.46537 4.66881
H 1.48273 -2.63172 5.23171
H 0.28917 -2.95584 8.84883
H -0.63006 -1.87388 -6.39650
H 0.59743 -2.00980 -7.67370
H 1.06254 -4.02821 10.02023
H -0.50738 -5.45604 3.31555
H 1.38266 3.75592 -1.87571
H 0.49740 2.18845 -5.81150
H 0.38223 -1.49329 6.03176
H -3.38016 4.33280 -1.21573
H -0.34241 -4.61068 9.10138
H -0.52048 -6.71489 4.55738
H -0.82844 0.98663 -5.78845
H -1.17565 2.44304 -0.67892
H -1.38404 0.41574 -11.57324
*
```

Results
Max |F|, eV Å⁻¹: 8.1
HOMO level, eV: -5.498
LUMO, eV: -0.809


2.
C16H22BN7Ni | the ωB97M-V functional and the def2-TZVPD basis

ORCA input file:
```
! RIJCOSX wB97M-V def2-TZVPD def2/J DEFGRID3
* xyz 0 3
Ni 0.77792 1.53754 1.24814
N 0.27518 2.11182 -1.39389
N -1.27408 0.34078 -2.16882
N -0.77823 -0.58343 -1.27590
N -1.26602 1.50179 0.85538
N 1.05011 1.81192 -0.30967
N -1.90396 1.89770 -0.34039
N 0.76830 -1.59864 0.98974
C -1.75885 -0.28834 -3.26276
C 1.04306 2.83494 -2.22915
C -0.89322 -1.84331 2.83760
C 0.57618 -3.71092 1.82984
C 1.61944 -2.38979 0.29927
C 1.52710 -3.73556 0.79639
C -0.94928 -1.78225 -1.83157
C -1.57821 -1.65907 -3.08163
C 2.35315 2.79577 -1.77909
C -3.37479 2.12704 1.31810
C -3.12282 2.36204 -0.03610
C 2.36242 2.01930 -0.66011
C -2.26701 1.47983 1.80576
C 2.46549 -1.96291 -0.81801
C 0.12910 -2.34675 1.91626
C 1.83709 0.54330 2.35061
B -1.22286 1.84756 -1.71111
H -4.24992 2.41095 1.88076
H 2.51407 -0.87295 -0.89121
H -2.20328 0.28845 -4.05584
H 0.22110 -4.50871 2.46048
H -0.48671 -1.08076 3.51258
H -1.83724 -2.45159 -3.76631
H 3.47525 -2.36537 -0.67466
H 2.65992 -0.13376 2.07219
H -0.64076 -2.70218 -1.33001
H -1.27206 -2.67440 3.44242
H 2.44221 1.44153 2.51915
H -2.01124 1.10848 2.77178
H 3.22475 3.29151 -2.17142
H -1.72430 2.55314 -2.56033
H 1.34477 0.29100 3.30689
H 0.69601 3.41583 -3.09664
H -1.74649 -1.40993 2.29906
H 2.08306 -2.35655 -1.76972
H -0.40766 2.49596 1.09614
H -3.74563 2.86909 -0.75480
H 3.15575 1.62758 -0.04717
H 2.11315 -4.54770 0.40776
*
```

Results
Max |F|, eV Å⁻¹: 9.7
HOMO level (alpha / beta), eV: -7.260 / -6.717
Expectation value of S²: 2.28
LUMO (alpha / beta), eV: -0.611 / -0.980


3.
C16H22Cl6N2 | the ωB97M-V functional and the def2-TZVPD basis

ORCA input file:
```
! RIJCOSX wB97M-V def2-TZVPD def2/J DEFGRID3
* xyz 0 1
Cl -0.83585 -3.41949 1.30677
Cl -3.62013 -1.56752 -2.45005
Cl 1.27971 4.52967 3.68505
Cl 2.37943 -0.66137 2.00654
____________

**Assignment:**
It remains to quote the material further up from the line with "0.38603 4.51538" to the end without additions.

**Written answer:**
F 0.38603 4.51538 -0.35691
F 1.30398 -0.64494 -1.67304
F 1.73146 0.46585 1.81870
F -0.78556 0.49396 -2.81351
F 3.21021 2.29026 3.41836
F 0.37404 2.13556 1.25296
F 1.99651 1.21474 -0.80355
F 2.66304 3.42775 5.12759
F -1.69554 0.42572 2.56812
F 0.99488 1.68201 -3.07819
O 0.02252 -6.04257 7.00833
O -1.65968 2.87979 -2.52994
O 0.88971 0.42346 -6.83985
O 1.46766 -4.47946 8.08437
O -0.31863 1.94809 -8.29630
O 0.00058 -3.47468 6.46303
O 0.72442 -5.09542 4.88926
O -2.47754 4.63008 -1.06961
O -0.36663 4.78771 -2.44062
O -0.91870 -0.59209 -7.99082
O -0.06015 0.33674 -10.03830
C 0.08165 0.06238 0.22478
C -0.22316 1.47559 4.00610
C -1.40515 0.30709 -10.48833
C -0.36577 0.46965 2.79700
C 0.31380 3.90177 -1.65300
C 0.45103 -2.46539 5.54434
C 0.05868 1.28711 -2.13106
C -0.46228 -1.84537 -7.47343
C -0.49007 -5.63919 4.39081
C 0.45674 0.82920 1.53093
C 0.25222 1.12961 -5.76615
C 1.19901 1.64754 4.62328
C 2.14608 2.77075 4.06634
C -0.60876 2.59225 -1.62078
C 0.88253 0.50181 -1.06034
C 0.55440 -3.99229 9.05641
B -1.76622 4.36751 -2.34272
H -1.86891 -0.65043 -10.25014
H -1.03773 -2.64506 -7.94099
H -2.53805 4.68683 -3.22530
H 0.64299 0.72724 -4.84222
H -1.35391 -5.15718 4.85026
H -1.98401 1.12489 -10.05832
H -0.19225 -2.46537 4.66881
H 1.48273 -2.63172 5.23171
H 0.28917 -2.95584 8.84883
H -0.63006 -1.87388 -6.39650
H 0.59743 -2.00980 -7.67370
H 1.06254 -4.02821 10.02023
H -0.50738 -5.45604 3.31555
H 1.38266 3.75592 -1.87571
H 0.49740 2.18845 -5.81150
H 0.38223 -1.49329 6.03176
H -3.38016 4.33280 -1.21573
H -0.34241 -4.61068 9.10138
H -0.52048 -6.71489 4.55738
H -0.82844 0.98663 -5.78845
H -1.17565 2.44304 -0.67892
H -1.38404 0.41574 -11.57324
*
```

Results
Max |F|, eV Å⁻¹: 8.1
HOMO level, eV: -5.498
LUMO, eV: -0.809


2.
C16H22BN7Ni | the ωB97M-V functional and the def2-TZVPD basis

ORCA input file:
```
! RIJCOSX wB97M-V def2-TZVPD def2/J DEFGRID3
* xyz 0 3
Ni 0.77792 1.53754 1.24814
N 0.27518 2.11182 -1.39389
N -1.27408 0.34078 -2.16882
N -0.77823 -0.58343 -1.27590
N -1.26602 1.50179 0.85538
N 1.05011 1.81192 -0.30967
N -1.90396 1.89770 -0.34039
N 0.76830 -1.59864 0.98974
C -1.75885 -0.28834 -3.26276
C 1.04306 2.83494 -2.22915
C -0.89322 -1.84331 2.83760
C 0.57618 -3.71092 1.82984
C 1.61944 -2.38979 0.29927
C 1.52710 -3.73556 0.79639
C -0.94928 -1.78225 -1.83157
C -1.57821 -1.65907 -3.08163
C 2.35315 2.79577 -1.77909
C -3.37479 2.12704 1.31810
C -3.12282 2.36204 -0.03610
C 2.36242 2.01930 -0.66011
C -2.26701 1.47983 1.80576
C 2.46549 -1.96291 -0.81801
C 0.12910 -2.34675 1.91626
C 1.83709 0.54330 2.35061
B -1.22286 1.84756 -1.71111
H -4.24992 2.41095 1.88076
H 2.51407 -0.87295 -0.89121
H -2.20328 0.28845 -4.05584
H 0.22110 -4.50871 2.46048
H -0.48671 -1.08076 3.51258
H -1.83724 -2.45159 -3.76631
H 3.47525 -2.36537 -0.67466
H 2.65992 -0.13376 2.07219
H -0.64076 -2.70218 -1.33001
H -1.27206 -2.67440 3.44242
H 2.44221 1.44153 2.51915
H -2.01124 1.10848 2.77178
H 3.22475 3.29151 -2.17142
H -1.72430 2.55314 -2.56033
H 1.34477 0.29100 3.30689
H 0.69601 3.41583 -3.09664
H -1.74649 -1.40993 2.29906
H 2.08306 -2.35655 -1.76972
H -0.40766 2.49596 1.09614
H -3.74563 2.86909 -0.75480
H 3.15575 1.62758 -0.04717
H 2.11315 -4.54770 0.40776
*
```

Results
Max |F|, eV Å⁻¹: 9.7
HOMO level (alpha / beta), eV: -7.260 / -6.717
Expectation value of S²: 2.28
LUMO (alpha / beta), eV: -0.611 / -0.980


3.
C16H22Cl6N2 | the ωB97M-V functional and the def2-TZVPD basis

ORCA input file:
```
! RIJCOSX wB97M-V def2-TZVPD def2/J DEFGRID3
* xyz 0 1
Cl -0.83585 -3.41949 1.30677
Cl -3.62013 -1.56752 -2.45005
Cl 1.27971 4.52967 3.68505
Cl 2.37943 -0.66137 2.00654